We really love my daughter's teacher and wanted to get her a little something for Teacher Appreciation Day. My daughter told me her teacher loves to garden so she wanted to buy her something for that. I took her to the store with me and she picked out a small rose bush because she thought her teacher would love the color and the smell, and was so excited to present her gift to her teacher. We are on a tight budget so it was nothing expensive, but a token of our appreciation. There is also an aid in the classroom who has only been there for a couple of months. We did not buy anything for her. My daughter presented her gift to her teacher, along with a card she made.I picked my daughter up today and she was very upset because the aid thanked my daughter for the lovely rose bush, and wrote her a thank you note! My question is; do I mention to her teacher that she picked that out especially for the teacher, and was really upset that the teacher gave it away, if so how do I do it tactfully, or do I let it go? We tried telling my daughter that maybe her teacher was wanting the aid to be aknowledged as well, but she is still very upset, mainly because she put a lot of thought into this gift for her teacher, NOT the aid. I am a teacher as well, and can never in a million years imagine a student giving me a gift and me turning around and giving it to my aid, AND letting my aid believe it was purchased for her!Thank you all for your input.
I would gracefully tell the teacher what you told us. The aid needs to be appreciated too but not at the expense of your daughters feelings. If the teacher was to give the flowers to the aid she could have done it without your daughter knowing it. Tell her you didn't have the money for a present for both. Tell her how much thought your daughter put into the gift. Tell her how about how upset she is! I am sure she did not mean to hurt your girl in any way. It is a sticky issue if not handled gentlely.
Good Luck,
Cathy B
I would say something!!!! The teacher needs to realize that she hurt your daughters feeling. I don't know what that teacher was thinking when she did that, obviously she was at ALL. I'm sorry that your daughter had to witness that. Good luck!
Here the text breaks off for records of crystals:
~~~
{
  "formula": "Bi2Se3",
  "functional": "GGA-PBE",
  "state": "relaxed",
  "e_form_ev_per_fu": -3.35,
  "dft_energy_ev_per_cell": -20.20,
  "vol_a3_per_atom": 30.82,
  "lattice": [[-3.0072, 2.4412, 9.6752], [-0.9040, -1.1244, 10.3213], [1.1654, 2.5083, 10.0479]],
  "species": ["Bi", "Bi", "Se", "Se", "Se"],
  "frac_coords": [[0.6027, 0.6027, 0.6027], [0.3973, 0.3973, 0.3973], [0.0000, 0.0000, 0.0000], [0.2179, 0.2179, 0.2179], [0.7821, 0.7821, 0.7821]]
}


(1)
Compound: NpBe13
Source: the Materials Project
Functional: meta-GGA r2SCAN
Structure: relaxed Values from VASP.

Properties
For the total energy, the calculation gives -283.2 eV for the cell shown. Its crystal system is orthorhombic. Its space group is Ibam. The energy of formation from the pure elements comes out at -0.16 eV per atom.

The structure in Quantum ESPRESSO input format:
```
&SYSTEM
  ibrav = 0, nat = 28, ntyp = 2
/
ATOMIC_SPECIES
Np 237.00 Np.upf
Be 9.01 Be.upf
CELL_PARAMETERS angstrom
-3.614 3.629 5.135
3.614 -3.629 5.135
3.614 3.629 -5.135
ATOMIC_POSITIONS angstrom
Np 0.000 0.000 2.567
Np 0.000 0.000 7.702
Be 3.614 0.000 0.000
Be 5.720 0.445 0.000
Be 2.792 -0.823 1.805
Be 2.341 1.280 -1.168
Be 2.341 -1.280 3.966
Be 0.454 1.535 0.000
Be 4.435 -0.823 3.330
Be 4.068 2.094 0.000
Be 4.435 0.823 1.805
Be 2.341 1.280 1.168
Be 2.341 -1.280 6.303
Be 2.792 0.823 3.330
Be 2.106 3.184 0.000
Be 0.000 3.629 0.000
Be 1.508 0.445 5.135
Be 0.821 2.806 1.805
Be 1.272 4.909 -1.168
Be 1.272 2.349 3.966
Be -0.821 2.806 3.330
Be -0.454 1.535 5.135
Be -0.821 4.452 1.805
Be 3.159 2.094 5.135
Be 1.272 4.909 1.168
Be 1.272 2.349 6.303
Be 0.821 4.452 3.330
Be -2.106 3.184 5.135
```

---

(2)
Compound: BeO
Source: the Materials Project
Functional: meta-GGA r2SCAN
Structure: relaxed Values from VASP.

Properties
For the total energy, the calculation gives -32.6 eV for the cell shown. Its crystal system is hexagonal. Its space group is P6_3mc. The energy of formation from the pure elements comes out at -3.00 eV per atom.

The structure in Quantum ESPRESSO input format:
```
&SYSTEM
  ibrav = 0, nat = 4, ntyp = 2
/
ATOMIC_SPECIES
Be 9.01 Be.upf
O 16.00 O.upf
CELL_PARAMETERS angstrom
2.694 0.000 0.000
~~~
End of the records of crystals:
Is it possible that the aid thought it was for both of them? It may not neccessarily be that the teacher turned around and gave it to her. I'd just ask her teacher about it and walk in without any assumptions then clear things up.
I would talk to the teacher about it - it may have been a misunderstanding, they may have thought it was for the aid. And the teacher may want to make things right with your daughter - I would find out though, for peace of mind:)
Good Luck,
It seems like their may have been a misunderstanding...although I'm not sure how they would have confused the gift since your daughter made a card. Was the teacher's name clearly written on the card? I can't imagine a teacher regifting, especially in front of a student.
## These data records were left in the text by mistake
<<<
[1]
# UO2F2, relaxed, DFT PBE-GGA
# Total moment in μB per atom: 0.000
# Energy relative to the lowest polymorph listed for this composition in meV per atom: 138
# Formation energy from the elements in eV/atom: -3.536
data_UO2F2
_chemical_formula_sum 'U2 O4 F4'
_symmetry_space_group_name_H-M 'C 1 2/m 1'
_symmetry_Int_Tables_number 12
_cell_length_a 9.953
_cell_length_b 3.412
_cell_length_c 4.294
_cell_angle_alpha 90.00
_cell_angle_beta 100.87
_cell_angle_gamma 90.00
loop_
_symmetry_equiv_pos_as_xyz
'x,y,z'
'-x,-y,-z'
'-x,y,-z'
'x,-y,z'
'x+1/2,y+1/2,z'
'-x+1/2,-y+1/2,-z'
'-x+1/2,y+1/2,-z'
'x+1/2,-y+1/2,z'
loop_
_atom_site_label
_atom_site_type_symbol
_atom_site_fract_x
_atom_site_fract_y
_atom_site_fract_z
U1 U 0.000 0.000 0.000
O1 O 0.113 0.500 0.946
F1 F 0.120 0.000 0.455

[2]
# AlFe2B2, relaxed, DFT PBE-GGA
# Formation energy from the elements in eV/atom: -0.401
data_AlFe2B2
_chemical_formula_sum 'Al2 Fe4 B4'
_symmetry_space_group_name_H-M 'C m m m'
_symmetry_Int_Tables_number 65
_symmetry_space_group_name_Hall '-C 2 2'
_cell_length_a 2.915
_cell_length_b 11.012
_cell_length_c 2.863
_cell_angle_alpha 90.00
_cell_angle_beta 90.00
_cell_angle_gamma 90.00
loop_
_atom_site_label
_atom_site_type_symbol
_atom_site_fract_x
_atom_site_fract_y
_atom_site_fract_z
Al1 Al 0.000 0.000 0.000
Fe1 Fe 0.000 0.354 0.500
B1 B 0.000 0.206 0.000

=====

# 1
# CsTmO2

A geometry-optimized CsTmO2 structure (r²SCAN, Materials Project).

Properties
The calculated total energy comes out at -21.00 eV per atom. Its space-group type is No. 194. The theoretical density comes out at 7.80 g/cm3. The formation energy comes out at -2.96 eV/atom.

Cell lengths 3.4723, 3.4723, 13.6119 Å; angles 90.00, 90.00, 120.00 degrees
Fractional positions:
Cs: 0.3333 0.6666 0.7500
Cs: 0.6667 0.3333 0.2500
Tm: 0.0000 0.9999 0.0000
Tm: 0.0000 0.0001 0.5000
O: 0.3333 0.6667 0.4191
O: 0.3333 0.6666 0.0809
O: 0.6667 0.3334 0.5809
O: 0.6667 0.3333 0.9191

# 2
# Pr2Co2I

A geometry-optimized Pr2Co2I structure (r²SCAN, Materials Project).

Properties
The calculated total energy comes out at -22.55 eV per atom. Its space-group type is No. 194. The theoretical density comes out at 6.84 g/cm3. The formation energy comes out at -0.58 eV/atom.

Cell lengths 4.0743, 4.0743, 17.7728 Å; angles 90.00, 90.00, 120.00 degrees
Fractional positions:
Pr: 0.0000 0.0000 0.1065
Pr: 0.0000 0.0000 0.3935
Pr: 0.0000 0.0000 0.8935
Pr: 0.0000 0.0000 0.6065
Co: 0.3333 0.6667 0.0022
Co: 0.6667 0.3333 0.9978
Co: 0.3333 0.6667 0.4978
Co: 0.6667 0.3333 0.5022
I: 0.3333 0.6667 0.7500
I: 0.6667 0.3333 0.2500

# 3
# Te2Os

A geometry-optimized Te2Os structure (r²SCAN, Materials Project).

Properties
The calculated total energy comes out at -34.77 eV per atom. Its space-group type is No. 205. The theoretical density comes out at 11.08 g/cm3. The formation energy comes out at -0.16 eV/atom.

Cell lengths 6.4390, 6.4390, 6.4390 Å; angles 90.00, 90.00, 90.00 degrees
Fractional positions:
Te: 0.3729 0.1271 0.8729
>>>
Thank you all so much for your advice. I did sit down with her teacher. She said she told the aid (in front of the class) that they would share them and that she was keeping them in the classroom.She was unaware that the aid had taken them home. She was very apologetic and even spoke with my daughter. The flowers were returned and all is good! Thanks so much!